Cardinal Bo of Yangon on the Solemnity of the Assumption of the Blessed Virgin Mary

Today we celebrate Mary taken up to heaven body and soul. It is one of the Marian dogmas of the Church and one of its infallible teachings.
No one knows what Mary looked like. European artists have made her look European. African artists have made her look African. Native American artists have drawn her in their image, as have artists from South America, the Far East and nearly every other part of the world as well. Myanmar too tries to draw Mary as a Burmese girl. In a sense, she has become the universal woman, adapted in every generation to every race and culture. One thing, however, artists everywhere have agreed upon: they have all depicted her as pious, thoughtful and serene.
“She,” of course, is Mary, the mother of Jesus. When Elizabeth, pregnant with John the Baptist, first saw her, she exclaimed, “Blessed are you among women,” and so it has been ever since. After Jesus Himself, no one has been more venerated, more honored or revered than this young girl from first century Israel. “Hail Mary, full of grace, the Lord is with thee…” Hail the Blessed Virgin, the New Eve, Holy Mary, Mother of Mercy, Mother of God. Except, it is pity that some of the communities try to ignore. A family without a mother is to be pitied. So also a denomination without a mother will scatter more.
What was she like? What kind of woman would be chosen by God to bear His Son, and what kind of woman would have the faith and grace to do it?
There are the usual qualities we traditionally think of. For example, we think of Mary as someone who was willing to take risks. She risked rejection by Joseph and even stoning by the other men in her village for being pregnant before she was married. She risked her own health and even her life by traveling to Bethlehem so close to term, and then giving birth unattended in a rude stable. She risked her life again by fleeing with Joseph to Egypt when a brutal dictator named Herod was seeking to kill her son.
Here the piece breaks off for quantum chemistry results:
<<<
# C2H5O

An isolated ion of composition C2H5O and charge +1 (wB97M-V/def2-TZVPD, OMol25).

```
8
Properties=species:S:1:pos:R:3
O -0.052 -0.191 -0.833
C 0.683 -0.535 0.293
C -0.991 0.659 -0.746
H -1.386 1.133 -1.579
H 1.816 -0.399 0.023
H 0.686 -1.653 0.621
H 0.292 0.084 1.042
H -1.145 1.010 0.260
```

Output
Molar mass ... 45.1 g mol⁻¹
Charge ... +1
Highest occupied orbital energy ... -18.45 eV
Orbital gap ... 11.24 eV
Energy relative to the best compared isomer or geometry (same formula, charge and spin) ... 0.0 kcal per mole
E_tot ... -154.069178 hartree
Strongest force on any atom ... 4.9 eV/A

***

# C16H25N3O3S

One molecule with the formula C16H25N3O3S (wB97M-V/def2-TZVPD, OMol25).

```
48
Properties=species:S:1:pos:R:3
S -0.595 1.044 1.861
O -2.427 -2.218 -1.101
O 1.227 1.936 -1.235
O 0.274 -0.623 -0.911
N -1.039 -1.239 3.060
N -2.301 -0.824 1.151
N -2.421 -0.211 -0.094
C 0.340 -0.040 -2.186
C -1.567 -3.059 4.534
C 3.039 3.637 -1.081
C 2.036 4.733 -1.428
C -1.865 -5.288 3.700
C -2.175 -0.271 -2.507
C -1.329 -2.600 3.241
C -1.835 -4.396 4.758
C -1.322 -0.444 2.002
C -1.327 -3.504 2.180
C -2.304 -1.016 -1.197
C 2.309 2.426 -0.475
C -0.972 0.674 -2.552
C -1.603 -4.838 2.417
C 1.503 0.967 -2.222
C 3.882 3.267 -2.301
H -0.545 -0.779 3.813
H -1.077 -3.185 1.179
H -2.037 0.731 -0.081
H -1.602 -5.530 1.588
H 1.493 5.045 -0.539
H -1.103 1.511 -1.864
H 0.530 -0.860 -2.886
H 3.714 4.005 -0.300
H -2.081 -6.331 3.876
H -1.542 -2.361 5.358
H 0.351 0.105 -0.268
H -0.879 1.083 -3.559
H -3.092 0.298 -2.670
H 3.250 2.992 -3.141
H -2.088 -1.023 -3.293
H -2.599 -1.795 1.110
H 3.029 1.620 -0.274
H 1.857 2.729 0.476
H 1.317 4.361 -2.153
H 4.545 2.434 -2.076
H 2.544 5.597 -1.850
H 4.493 4.116 -2.601
H -2.022 -4.741 5.764
H 1.574 1.422 -3.219
H 2.441 0.444 -2.003
```

Output
Molar mass ... 339.5 g mol⁻¹
Highest occupied orbital energy ... -8.48 eV
Orbital gap ... 9.12 eV
Energy relative to the best compared isomer or geometry (same formula, charge and spin) ... 51.1 kcal per mole
E_tot ... -1412.857331 hartree
Strongest force on any atom ... 0.7 eV/A
Structure (SMILES) ... CC(C)COC[C@@H](O)CCC(=O)NNC(=S)Nc1ccccc1

***

# C2H7NS2

A 2-piece molecular cluster, C2H7NS2 overall (wB97M-V/def2-TZVPD, OMol25).

```
12
Properties=species:S:1:pos:R:3
S -0.475 -2.292 -1.250
S -2.412 -3.414 -0.660
N 0.462 0.754 1.502
C 0.600 1.381 -0.801
C 1.163 1.257 0.407
H 1.149 1.854 -1.597
H -0.530 0.846 1.382
H -2.604 -2.804 0.516
H -0.426 1.069 -0.948
H -0.001 -0.999 -1.425
H 2.240 1.346 0.474
H 0.835 1.002 2.400
```

Output
Molar mass ... 109.2 g mol⁻¹
Charge ... -1
2S+1 ... 2
Highest occupied orbital energy (alpha / beta) ... -1.44 / -2.89 eV
Orbital gap (alpha / beta) ... 4.99 / 6.43 eV
Energy relative to the best compared isomer or geometry (same formula, charge and spin) ... 16.8 kcal per mole
E_tot ... -931.485118 hartree
Strongest force on any atom ... 2.3 eV/A

***

# C6H10O

One molecule with the formula C6H10O (wB97M-V/def2-TZVPD, OMol25).

```
17
>>>
Along with her courage, we traditionally think of Mary’s humility, holding it up as a model of faithfulness in an age when humility is radically out of fashion. “Here am I, the servant of the Lord,” she said; “let it be with me according to Your word.” Here God was proposing not only an “unplanned pregnancy” but a dangerous one at that, and Mary did not refuse. She did not insist on her moral autonomy, her right to self-fulfillment or her freedom to control her body or her life. Instead, she yielded both to God, that she might be an instrument of His will.
“Let it be with me according to Your word.” Mary allowed herself to be used and permitted her life to be changed forever in service to a higher good. Today that kind of self-subordination is condemned in many circles by women and men alike, who consider it “old-fashioned,” “repressive” or “unliberated.” It may be all of that and more in the eyes of the world, but Mary’s spirit of self-giving obedience and humility surely remains beautiful in the eyes of God who wishes to see more of it in both men and women today.
Even as Luke first introduces us to Mary, as she encounters the angel Gabriel, we see that while Mary is faithful and obedient, she still has a mind of her own. Gabriel greets her by calling her “favored one,” and immediately, the text says Mary is “perplexed.” She “ponders what sort of greeting this might be” (1:28-29).
Perhaps she senses that to be favored by God is to have your life turned upside down. Perhaps she recalls her Old Testament scriptures, which amply demonstrate that people pay a price in this world for acting as servants of God. At any rate, we know that even before she was told about Jesus, Mary was wondering whether this calling from God was something she wanted to get involved with.
Then, when Gabriel tells her she will conceive a son, we see the practical and skeptical side of Mary. “How can this be,” she asks, “since I am a virgin?” (Luke 1:34). At this point, she is thinking not of heavenly possibilities but biological realities.
Mary is also becoming part of a long tradition of people who argue and debate with God before accepting His will for their lives. Moses said he was unfit when God called him as leader of the Israelites (Exodus 4:1ff). Jeremiah claimed he was too young when God called him to be a prophet (Jeremiah 1:6). Jonah headed off in the opposite direction when God gave him a mission in Nineveh (Jonah 1:3ff). As so many biblical people had done before her, Mary demonstrates that God does not call self-effacing doormats into His service. He summons real people with real questions, objections, doubts and fears. It was only human for Mary to have them, as it is only human that we have them, too.
Our text shows Mary joining another tradition as well, a long line of women in the Bible — foremothers of our faith — who were chosen by God for special duties. Some, like Deborah or Jael, were judges or military leaders. But within this tradition is a smaller group of women whom God chose to bring special children into the world. They include Sarah, the aged wife of Abraham, who became the “Mother of Nations” by bearing Isaac, (Genesis 8:12) and Rachel, the mother of Joseph (Genesis 30:22). We have already mentioned Elizabeth, mother of John the Baptist. And then there was Mary.
These women were chosen for motherhood, but they were more than mere vessels for delivering children. They became interpreters of God’s will, reflecting on their own experience of pregnancy and motherhood to understand how God works in the world.
This is precisely what we see in our Old Testament lesson, where we meet a woman named Hannah, who lived a thousand years before Mary was born. Now, Hannah had been barren all her life, despite years of praying and pleading for a child. She daily felt the shame of her childlessness from other women in a culture where fertility was considered a sign of God’s favor.
Finally, God gave a very special child to Hannah; his name was Samuel and he became the last of Israel’s great judges. Of course, Hannah was ecstatic, and our text shows her expressing her joy in words of praise: “My heart exults in the Lord,” she says, “my strength is exalted in my God.”
A thousand years later, Mary echoed Hannah’s words as she interpreted her own situation in light of the methods, the mind and the will of God. By favoring a poor, obscure girl like her, Mary says, God has “scattered the proud in the imagination of their hearts.” By passing over other women who possessed more wealth, prestige or comfort and choosing Mary instead, God has “brought down the mighty from their thrones and lifted up the lowly.” By placing Himself among the poor and homeless, God has “filled the hungry with good things and sent the rich empty away.”
Here is Mary — thoughtful, serene, obedient Mary — giving us the good news of Christ’s birth in all its radical fullness! Here is Mary making sense of why God chose her among all women and explaining to the rest of us that when God’s will is enacted in the world, He radically inverts our worldly values. When God’s will is enacted in the world, the last become first and the first become last; the dishonored are exalted and the honored are humbled.
As we live by the ways of the world, honoring the rich and fawning over the famous, God comes to Bethlehem to honor the poor and bless the obscure. As we honor those with power and might, God comes to a stable to honor the powerless and the meek of the earth. As we honor all that is flashy and spectacular, God shows that His way is as humble as a manger and simple as a solitary star.
Did not the ancient prophet say, “For My thoughts are not your thoughts, neither are your ways My ways, says the Lord” (Isaiah 55:8)? This is also the message of Mary’s Magnificat, arising from her own reflection on her womanly experience as well as her knowledge of Old Testament scripture.
She declares as much in our text. “God has looked with favor upon the lowliness of His servant,” she says. She is a simple peasant girl, engaged to a carpenter and living in a dusty little village in a dusty little nation. She never calls herself anything unique or special, never claims to be more educated, refined or worthy in any way than anyone else. In fact, Mary realizes that the glory which has come to her is all God’s doing: “The Mighty One has done great things for me,” she confesses. She will be blessed among women for all eternity because she was an ordinary, unspectacular girl who said “yes” to a spectacular calling from God.
There is an important spiritual lesson to be learned here, which is that God doesn’t need people who are unusually strong or bright or well-to-do to be His servants. God doesn’t need people who are exceptionally well-educated or skilled to do His will – ordinary folks will do just fine. In fact, if you think about it for a moment, ordinary people are all God has to work with, so there is no reason for any of us to say no to His summons to service!
What comes next are calculated molecules, not part of the text
/*
63
Properties=species:S:1:pos:R:3:nbo_charge:R:1 method="wB97M-V/def2-TZVPD" de_lowest_kcal_mol=0.0 s2=0.850 e_tot_ev=-130257.759 lumo_energy_ev="-3.67 / -3.04" total_charge=+1 spin_multiplicity=2 largest_force_ev_per_a=0.3 gap_ev="6.543 / 7.313" mol_weight_da=699.73
V -0.6586 -0.6355 0.0596 1.6036
C -1.5214 -2.7842 -2.1596 -0.2648
N -1.2292 -2.7655 -0.7104 -0.6062
C -0.1838 -3.7171 -0.2726 -0.2657
C 1.0942 -2.9997 0.0376 0.4305
N 1.1322 -1.7138 0.2893 -0.5569
C 2.4509 -1.4127 0.6340 0.1571
C 3.0303 -0.2011 1.0039 -0.2178
C 4.3789 -0.2266 1.2935 -0.1880
C 5.1304 -1.4115 1.2180 -0.1894
C 4.5606 -2.6145 0.8527 -0.2204
C 3.2012 -2.5843 0.5661 0.0933
N 2.3010 -3.5786 0.1819 -0.5034
C -1.0587 -1.4990 -2.7548 0.4282
N -0.3966 -0.6275 -2.0383 -0.5272
C -0.1573 0.4697 -2.8769 0.1447
C 0.5017 1.6730 -2.6384 -0.2135
C 0.5795 2.5618 -3.6910 -0.1862
C 0.0276 2.2687 -4.9478 -0.1831
C -0.6170 1.0740 -5.1966 -0.2288
C -0.6945 0.1869 -4.1311 0.1039
N -1.2643 -1.0804 -4.0147 -0.4989
H -2.5917 -2.9163 -2.3233 0.2445
H -1.0156 -3.6215 -2.6468 0.2249
H -2.0821 -2.9760 -0.2082 0.4162
H -0.0169 -4.4965 -1.0190 0.2239
H -0.5234 -4.2177 0.6364 0.2478
H 2.4385 0.7030 1.0625 0.2582
H 4.8747 0.6883 1.5878 0.2308
H 6.1849 -1.3801 1.4555 0.2318
H 5.1419 -3.5247 0.8004 0.2313
H 2.5113 -4.5536 0.0485 0.4351
H 0.9321 1.8934 -1.6719 0.2439
H 1.0793 3.5097 -3.5463 0.2312
H 0.1111 2.9976 -5.7422 0.2316
H -1.0381 0.8479 -6.1666 0.2326
H -1.7525 -1.5838 -4.7362 0.4355
Cl -4.1400 5.0262 0.4269 0.0731
C -2.8688 3.8719 0.4389 -0.0901
C -1.5725 4.2590 0.8002 -0.0855
Cl -1.2503 5.8832 1.2530 0.0749
C -0.5356 3.3279 0.8010 -0.1110
Cl 1.0766 3.7375 1.2411 0.0557
C -0.8103 2.0183 0.4494 0.2815
O 0.0993 1.0305 0.4175 -0.7168
C -2.1052 1.6255 0.1131 0.2043
O -2.2210 0.3250 -0.2135 -0.6957
C -3.1358 2.5507 0.0794 -0.0886
Cl -4.7129 2.0168 -0.3476 0.0585
Cl 0.0146 3.1757 5.2444 0.0347
C -0.4340 1.7916 4.3101 -0.0236
C 0.4844 0.7628 4.1275 -0.2406
C 0.1334 -0.3257 3.3562 -0.1256
C -1.1253 -0.4016 2.7463 -0.1006
C -1.4408 -1.4971 1.8040 -0.6845
C -2.0415 0.6287 2.9781 -0.1684
C -1.7034 1.7204 3.7613 -0.2263
H 1.4605 0.8275 4.5882 0.2363
H 0.8527 -1.1226 3.2034 0.2044
H -2.5105 -1.6482 1.6627 0.2316
H -0.9321 -2.4292 2.0512 0.2023
H -3.0300 0.5745 2.5377 0.2279
H -2.4123 2.5188 3.9344 0.2420


1.
DFT (ωB97M-V/def2-TZVPD) results for C44H43AsN11ORuSi3 as an isolated structure.

The value obtained for the HOMO-LUMO gap (spin up / spin down) is 4.9 / 5.6 eV. As for the HOMO energy (spin up / spin down): -6.23 / -8.29 eV. The energy above the lowest of the compared OMol25 structures with the same formula, charge and spin is 0.000 eV. For the molecular weight, the calculation gives 1002.2 g mol⁻¹.

The geometry in ORCA input format:
```
! RIJCOSX wB97M-V def2-TZVPD def2/J DEFGRID3
* xyz 0 6
Ru -0.13298 -1.05460 -0.18244
C -6.61799 -1.31949 0.84288
C -6.69334 -1.18610 -0.55325
C -5.55322 -1.10969 -1.33078
C -4.32440 -1.16032 -0.67914
C -2.97035 -1.11374 -1.16424
N -2.12922 -1.17807 -0.09222
*/
So much for the calculated molecules
Like Mary and countless other servants before her and since, we think of all the reasons God can’t be calling us to ministry in His name. We aren’t good or deserving enough. We aren’t faithful or religious enough. We don’t have this, that or the other thing which would commend us to God or qualify us for His service.
The problem with this is that we assume too much of ourselves and too little of God when we think in those terms. We assume that God’s work is always so monumental and earthshaking that we need special gifts or talents to be useful to Him, when the truth is that God doesn’t need any of that from us! God doesn’t need the strength of our flesh but the willingness of our spirit. God is so great and His power so glorious that all He needs is for average, everyday people like you and me to submit our wills to His.
Mary, like Jesus Himself, was born sinlessly and taken soul and body up to heaven after she died.
Years ago, Harry Emerson was invited to give an address at the American University of Beirut, Lebanon, where the student body comprised citizens of many countries and representatives from sixteen different religions. What could one say that would be relevant or of interest to so mixed and varied a group? This is how Harry began: “I do not ask anyone here to change his religion; but I do ask all of you to face up to this question: What is your religion doing to your character?” What does your devotions and especially devotion to Our Lady do to your character?
Do we really careful in imitating her virtues?
There are two birds that fly over our especially in deserts: One is the hummingbird and the other is the vulture. The vultures find the rotting meat of the desert, because that is what they look for. They thrive on that diet. But hummingbirds ignore the smelly flesh of dead animals. Instead, they look for the colorful blossoms of desert plants. The vultures live on what was. They live on the past. They fill themselves with what is dead and gone. But hummingbirds live on what is. They seek new life. They fill themselves with freshness and life. Each bird finds what it is looking for. We all do.
In life, there are two birds. The one bird looks for foolishness and stupidity, the other looks for wisdom. The vultures seek to fill themselves with the rotting flesh of drunkenness and debauchery, the hummingbird sobriety, freshness, and the Spirit. In the desert of this world you have your scavengers who are angry and ungrateful, but you also have those who hum a grateful hymn of thanksgiving. The irony is that you find what you are looking for.
We honor Mary, she is like the hummingbird, always praising and thanking God and others in spite of hard times and trying circumstances?
Are we like Mary or the one who is always angry, ungrateful and revengeful?
Mary Assumed into Heaven: Pray for us.
Radio Veritas Asia (RVA), a media platform of the Catholic Church, aims to share Christ. RVA started in 1969 as a continental Catholic radio station to serve Asian countries in their respective local language, thus earning the tag “the Voice of Asian Christianity.” Responding to the emerging context, RVA embraced media platforms to connect with the global Asian audience via its 21 language websites and various social media platforms.